It remains to restate the rows further below from the first line to the one with "23.3 meV/atom" word for word.
=====
No. 1
The following is a GGA-PBE calculation of a relaxed structure of LiAl2H4Pb2O4F6, from the Materials Project database.

Results
Raw total energy: -101.82 eV per cell
Space group: No. 1
ΔE to the lowest computed polymorph: 32.6 meV/atom
Density: 4.65 g cm⁻³
Energy relative to the elements: -2404 meV/atom

Cell lengths 7.0667, 7.5179, 4.9677 Å; angles 92.77, 110.67, 105.72 degrees
Fractional coordinates of all 19 atoms:
1 Li 0.5690 0.3148 0.2016
2 Al 0.2110 0.6567 0.1795
3 Al 0.8304 0.3435 0.8119
4 H 0.1726 0.4719 0.7133
5 H 0.8757 0.5471 0.2909
6 H 0.1771 0.8644 0.8013
7 H 0.8093 0.1398 0.1735
8 Pb 0.7221 0.7905 0.7717
9 Pb 0.2159 0.1285 0.3498
10 O 0.1144 0.4561 0.8672
11 O 0.9118 0.5552 0.1177
12 O 0.1168 0.8402 0.9514
13 O 0.8709 0.1463 0.0231
14 F 0.2851 0.8279 0.5087
15 F 0.7368 0.1803 0.4707
16 F 0.2797 0.4971 0.4478
17 F 0.7417 0.5043 0.5334
18 F 0.4838 0.7356 0.1944
19 F 0.5632 0.2867 0.8297

No. 2
The following is a GGA-PBE calculation of a relaxed structure of LiAl2H4Pb2O4F6, from the Materials Project database.

Results
Raw total energy: -102.28 eV per cell
Space group: No. 1
ΔE to the lowest computed polymorph: 8.7 meV/atom
Density: 4.65 g cm⁻³
Energy relative to the elements: -2428 meV/atom

Cell lengths 6.1153, 7.2811, 5.7509 Å; angles 88.71, 101.26, 110.52 degrees
Fractional coordinates of all 19 atoms:
1 Li 0.0995 0.6423 0.5924
2 Al 0.1890 0.6710 0.1160
3 Al 0.8053 0.3255 0.8319
4 H 0.2557 0.4004 0.8886
5 H 0.7619 0.5021 0.1859
6 H 0.2544 0.9715 0.8726
7 H 0.7550 0.1043 0.1700
8 Pb 0.7346 0.8321 0.8029
9 Pb 0.2532 0.1935 0.3697
10 O 0.1473 0.4737 0.8761
11 O 0.8452 0.5357 0.0534
12 O 0.1346 0.8388 0.8697
13 O 0.8637 0.1384 0.0583
14 F 0.1656 0.8319 0.3440
15 F 0.7864 0.1488 0.6023
16 F 0.2281 0.5222 0.3733
17 F 0.7691 0.4960 0.5915
18 F 0.5067 0.7788 0.1427
19 F 0.4863 0.2225 0.8212

No. 3
The following is a GGA-PBE calculation of a relaxed structure of LiAl2H4Pb2O4F6, from the Materials Project database.

Results
Raw total energy: -102.00 eV per cell
Space group: No. 1
ΔE to the lowest computed polymorph: 23.3 meV/atom
Density: 4.86 g cm⁻³
Energy relative to the elements: -2413 meV/atom

Cell lengths 6.4487, 7.2010, 5.3018 Å; angles 95.30, 104.71, 106.51 degrees
Fractional coordinates of all 19 atoms:
1 Li 0.2017 0.0534 0.7009
2 Al 0.1714 0.7082 0.1408
3 Al 0.8326 0.3206 0.8382
4 H 0.2090 0.4744 0.7729
5 H 0.8127 0.5128 0.2460
6 H 0.0410 0.7258 0.6848
7 H 0.8543 0.1663 0.2670
8 Pb 0.6900 0.8337 0.8345
9 Pb 0.3186 0.2703 0.2847
10 O 0.1483 0.4704 0.9252
11 O 0.8463 0.5452 0.0814
12 O 0.0729 0.8220 0.8442
13 O 0.8953 0.1617 0.1006
14 F 0.1454 0.9143 0.3458
15 F 0.8869 0.1313 0.6202
16 F 0.2550 0.6129 0.4443
17 F 0.7595 0.4469 0.5583
18 F 0.4697 0.8189 0.1662
19 F 0.5354 0.1683 0.7564

* * * * *

# 1
The following is a PBE-GGA calculation of crystalline Na2YInSiS2O12 at its relaxed geometry, from the Materials Project database.

Lattice parameters (Å, degrees): 9.1774 9.1882 23.4089 89.45 89.24 60.14
With the nearest neighbours (Å) after each atom.
Fractional positions:
1 Na 0.0000 0.0000 0.0000  3 O 2.39-2.58
2 Na 0.9995 0.0203 0.4960  4 O 2.43-2.72
3 Na 0.2885 0.0470 0.4077  4 O 2.36-2.53
4 Na 0.2920 0.6760 0.9127  5 O 2.39-2.61
5 Na 0.2985 0.3917 0.8289  2 O 2.33-2.41
6 Na 0.3013 0.3316 0.3242  3 O 2.39-2.57
7 Na 0.3551 0.9953 0.7314  5 O 2.40-2.68
8 Na 0.3645 0.6585 0.2358  6 O 2.46-2.63
9 Na 0.6215 0.6962 0.6607  2 O 2.32-2.38
10 Na 0.6347 0.6932 0.1617  3 O 2.40-2.56
11 Na 0.9822 0.7036 0.0689  5 O 2.36-2.60
12 Na 0.9871 0.3302 0.5670  5 O 2.38-2.64
13 Y 0.3276 0.3402 0.4776  5 O 2.11-2.32
14 Y 0.3304 0.3423 0.9820  6 O 2.12-2.34
15 Y 0.3363 0.3489 0.6805  6 O 2.16-2.36
16 Y 0.6622 0.6807 0.5125  6 O 2.18-2.35
17 Y 0.6841 0.6688 0.8121  6 O 2.10-2.34
18 Y 0.9986 0.9903 0.8497  6 O 2.11-2.36
19 In 0.0017 0.0330 0.3434  5 O 2.08-2.27
20 In 0.0232 0.9893 0.6468  4 O 2.02-2.24
21 In 0.0299 0.0009 0.1493  5 O 2.04-2.25
22 In 0.3427 0.3338 0.1797  5 O 2.06-2.26
23 In 0.6630 0.6755 0.0164  4 O 2.05-2.22
=====
No. 1
The following is a GGA-PBE calculation of a relaxed structure of LiAl2H4Pb2O4F6, from the Materials Project database.

Results
Raw total energy: -101.82 eV per cell
Space group: No. 1
ΔE to the lowest computed polymorph: 32.6 meV/atom
Density: 4.65 g cm⁻³
Energy relative to the elements: -2404 meV/atom

Cell lengths 7.0667, 7.5179, 4.9677 Å; angles 92.77, 110.67, 105.72 degrees
Fractional coordinates of all 19 atoms:
1 Li 0.5690 0.3148 0.2016
2 Al 0.2110 0.6567 0.1795
3 Al 0.8304 0.3435 0.8119
4 H 0.1726 0.4719 0.7133
5 H 0.8757 0.5471 0.2909
6 H 0.1771 0.8644 0.8013
7 H 0.8093 0.1398 0.1735
8 Pb 0.7221 0.7905 0.7717
9 Pb 0.2159 0.1285 0.3498
10 O 0.1144 0.4561 0.8672
11 O 0.9118 0.5552 0.1177
12 O 0.1168 0.8402 0.9514
13 O 0.8709 0.1463 0.0231
14 F 0.2851 0.8279 0.5087
15 F 0.7368 0.1803 0.4707
16 F 0.2797 0.4971 0.4478
17 F 0.7417 0.5043 0.5334
18 F 0.4838 0.7356 0.1944
19 F 0.5632 0.2867 0.8297

No. 2
The following is a GGA-PBE calculation of a relaxed structure of LiAl2H4Pb2O4F6, from the Materials Project database.

Results
Raw total energy: -102.28 eV per cell
Space group: No. 1
ΔE to the lowest computed polymorph: 8.7 meV/atom
Density: 4.65 g cm⁻³
Energy relative to the elements: -2428 meV/atom

Cell lengths 6.1153, 7.2811, 5.7509 Å; angles 88.71, 101.26, 110.52 degrees
Fractional coordinates of all 19 atoms:
1 Li 0.0995 0.6423 0.5924
2 Al 0.1890 0.6710 0.1160
3 Al 0.8053 0.3255 0.8319
4 H 0.2557 0.4004 0.8886
5 H 0.7619 0.5021 0.1859
6 H 0.2544 0.9715 0.8726
7 H 0.7550 0.1043 0.1700
8 Pb 0.7346 0.8321 0.8029
9 Pb 0.2532 0.1935 0.3697
10 O 0.1473 0.4737 0.8761
11 O 0.8452 0.5357 0.0534
12 O 0.1346 0.8388 0.8697
13 O 0.8637 0.1384 0.0583
14 F 0.1656 0.8319 0.3440
15 F 0.7864 0.1488 0.6023
16 F 0.2281 0.5222 0.3733
17 F 0.7691 0.4960 0.5915
18 F 0.5067 0.7788 0.1427
19 F 0.4863 0.2225 0.8212

No. 3
The following is a GGA-PBE calculation of a relaxed structure of LiAl2H4Pb2O4F6, from the Materials Project database.

Results
Raw total energy: -102.00 eV per cell
Space group: No. 1
ΔE to the lowest computed polymorph: 23.3 meV/atom